On the reuse of grammars

On the reuse of grammars

Spent a few hours talking to Kay Roepke as he is in town for 10 days. He and I started looking at the tree diff mechanism he found on the net and we discussed how it would be included into antlr. Also we discussed grammar composition. Seems to me there are four problems in the area of reusing grammars:

  1. Island grammars (probably best handled by a scannerless parser); ignored for the purposes of this discussion
  2. Combining and sharing grammars (multiple variations on C, SQL, etc...); good also on a practical level to reduce size of any one particular generated file.
  3. Deriving a new grammar from an existing standard grammar such as Java.g. Changes to prototype grammar should be pulled into derived grammar.
  4. n-phase translators with a single prototypical tree grammar. Changes to the prototype should be "pushed" to all derivative grammars.

The following sections are some terse notes to remind myself later when I implement this stuff.

Grammar composition

Between two parts of the page: quantum chemistry results.
No. 1
ORCA calculation (ωB97M-V/def2-TZVPD) on C27H49N3O7P2V as an isolated structure at a distorted geometry.

Calculated values
molecular weight: 640.6 g mol⁻¹
total charge: +2
largest force on an atom: 1.12 eV Å⁻¹
spin multiplicity: 2
HOMO-LUMO gap (spin up / spin down): 7.5 / 7.0 eV

Positions of all 89 atoms, in Å:
1 H 1.37 -1.17 3.51
2 C 6.01 -0.25 2.71
3 N -0.08 -2.07 -0.32
4 C 0.85 5.08 -0.66
5 H 4.70 0.02 -0.54
6 O -0.12 3.95 2.15
7 H -0.22 3.07 4.64
8 H 1.24 -3.71 3.63
9 C 0.35 -4.80 -0.63
10 C -0.45 4.69 -1.32
11 H 2.37 -4.22 -1.17
12 C -1.08 -2.94 -0.18
13 H -2.94 0.31 4.04
14 H -0.16 -2.96 4.39
15 C 2.03 2.30 2.09
16 H -4.51 2.07 -1.22
17 H 5.79 -1.25 3.08
18 C 1.13 -2.56 -0.71
19 H 2.80 0.81 -1.97
20 H 1.42 -1.96 1.94
21 H -0.88 -0.92 4.34
22 C 0.79 6.31 0.20
23 H -2.13 1.89 -0.59
24 H 3.68 1.51 4.60
25 C -4.30 -1.22 -0.52
26 H 5.86 2.78 -1.11
27 H 0.51 -5.86 -0.74
28 H 6.23 -0.32 1.64
29 H 3.71 2.29 -2.33
30 H -0.34 3.78 -1.91
31 C -1.00 -0.32 3.44
32 H 0.60 7.17 -0.45
33 H 6.58 1.24 -1.59
34 H -1.73 -4.99 -0.15
35 O 1.36 3.93 0.14
36 O 3.69 0.14 2.26
37 H -0.29 -3.64 2.75
38 H 2.75 3.09 2.34
39 H 5.08 1.67 2.56
40 H 4.31 0.72 -2.89
41 O -0.34 -1.02 2.35
42 H -1.24 4.54 -0.58
43 H -0.01 6.25 0.94
44 C 5.96 1.73 -0.84
45 C 1.39 -3.89 -0.86
46 H 4.19 -0.18 4.82
47 H 1.62 1.89 3.01
48 O 1.89 0.08 0.53
49 H -0.77 5.49 -1.98
50 H -0.83 4.73 4.62
51 C -4.09 1.12 -0.92
52 C 0.36 -3.10 3.44
53 C -2.77 1.03 -0.58
54 H 1.90 -1.82 -0.87
55 C 3.80 1.23 -2.07
56 H 6.46 1.66 0.12
57 O -0.19 1.93 0.60
58 C -2.45 4.51 2.39
59 H 1.74 6.48 0.71
60 C -4.88 -0.03 -0.86
61 H 1.64 5.18 -1.41
62 H -3.04 -3.22 0.17
63 H 5.35 1.14 5.01
64 H 6.91 0.11 3.21
65 C -2.93 -1.25 -0.22
66 C -1.36 3.58 2.87
67 H -2.15 5.55 2.52
68 P 2.87 0.97 1.23
69 C -1.06 3.70 4.35
70 H -2.70 4.33 1.35
71 C -2.46 -0.10 3.15
72 C 4.87 0.68 2.98
73 H -1.59 2.55 2.60
74 C 0.80 -1.79 2.81
75 H -2.95 -1.04 2.90
76 C -0.89 -4.32 -0.30
77 H -0.47 0.62 3.60
78 H -1.93 3.38 4.92
79 H -5.93 0.00 -1.12
80 N -2.18 -0.14 -0.20
81 H -4.87 -2.14 -0.51
82 V -0.22 -0.14 0.36
83 P 0.66 3.03 1.18
84 N -2.36 -2.48 0.10
85 H -2.62 0.60 2.33
86 C 4.49 0.79 4.43
87 O 3.85 1.74 0.29
88 C 4.60 1.07 -0.81
89 H -3.35 4.34 2.99

Atomic partial charges in e from the Mulliken method, atoms 1 to 6: 0.581 -1.453 0.237 0.418 0.353 -0.104

***

No. 2
ORCA calculation (ωB97M-V/def2-TZVPD) on C27H49NOsP2 as an isolated structure at a distorted geometry.

Calculated values
molecular weight: 639.9 g mol⁻¹
total charge: +2
largest force on an atom: 7.07 eV Å⁻¹
spin multiplicity: 5
HOMO-LUMO gap (spin up / spin down): 5.8 / 3.0 eV

Positions of all 80 atoms, in Å:
1 H -0.90 3.46 1.91
2 H 4.16 0.32 2.66
3 H 1.62 -0.16 -5.20
4 H 4.83 1.12 1.23
5 H -1.69 1.02 5.50
6 H -0.18 1.33 3.74
7 H -1.37 0.61 -6.93
8 H 2.97 -3.64 4.13
9 H 1.53 -4.09 5.06
10 C -1.11 4.50 -0.77
11 H -2.80 -0.41 -6.68
12 H 0.30 -2.11 6.26
13 N 1.47 0.49 1.83
14 H 0.68 -1.31 -2.86
15 H 3.22 2.30 -0.44
16 H -2.75 -2.76 -1.26
17 H -0.49 -5.36 0.36

In v2, we used an inheritance mechanism that was really a glorified dumb include. After discussing with the number of people including Ari Steinberg (who has a lot of experience with large SQL grammars), I have formulated the following mechanism with Kay. The mechanism is based on the idea of delegation rather than inheritance, however, rephrase it as an import that pulls in all rules making them available to the grammar that imports them.


Imagine a simple grammar with three rules:

parser grammar JavaDecl;
type : 'int' ;
decl : type ID ';'
     | type ID init ';'
init : '=' INT ;

Inserted here: quantum chemistry results >
DFT (ωB97M-V/def2-TZVPD) results for a single C7H7ClOS molecule in a non-equilibrium geometry.

The calculation puts the HOMO-LUMO gap at 8.996 eV. The structure (SMILES) is Cc1sc(C)c(C=O)c1Cl. The energy above the lowest of the compared OMol25 structures with the same formula, charge and spin is 0.0 kJ/mol.

Geometry as XYZ:
```
17
C7H7ClOS | the OMol25 dataset | ωB97M-V/def2-TZVPD
C -2.57655 0.10274 -1.53620
C -1.20564 0.04720 -0.95739
S -0.11424 1.39674 -0.90476
C 0.92512 0.68186 0.25182
C 2.24199 1.36502 0.39119
C 0.45357 -0.56862 0.60343
C 1.14549 -1.39073 1.56736
O 0.59062 -2.32090 2.08541
C -0.78059 -0.86981 -0.05828
Cl -1.74108 -2.20391 0.26756
H -3.15947 0.94233 -1.38415
H -2.66076 -0.09111 -2.72671
H -3.19818 -0.71438 -1.24203
H 3.01495 0.64311 0.29167
H 2.36374 2.33242 -0.12253
H 2.44913 1.63178 1.56730
H 2.25190 -0.98371 1.90629
```

~~~~~

Record 1
The following is a DFT calculation (wB97M-V/def2-TZVPD) of a molecular structure, C21H25F2FeN2O8S2 in a non-equilibrium geometry.

ORCA input file:
```
! wB97M-V def2-TZVPD RIJCOSX def2/J DEFGRID3
* xyz -2 6
Fe 0.739 -0.623 -0.829
O -4.771 0.021 -0.971
C -4.579 -1.308 -1.049
C -5.702 -2.126 -1.103
C -5.576 -3.504 -1.189
C -4.310 -4.077 -1.215
C -3.188 -3.272 -1.177
C -3.288 -1.880 -1.110
C -2.073 -1.075 -1.174
O -0.942 -1.588 -1.479
N -2.212 0.242 -1.004
N -1.082 0.914 -1.156
C -0.980 2.194 -1.127
C 0.233 2.844 -1.499
C 0.355 4.234 -1.339
C 1.464 4.924 -1.775
C 2.498 4.229 -2.404
C 2.421 2.860 -2.562
C 1.311 2.110 -2.113
O 1.274 0.831 -2.281
H -3.845 0.420 -0.906
H -6.679 -1.659 -1.083
H -6.465 -4.123 -1.232
H -4.202 -5.154 -1.265
H -2.190 -3.686 -1.186
H -1.848 2.807 -0.868
H -0.452 4.755 -0.835
H 1.536 5.997 -1.637
H 3.369 4.764 -2.767
H 3.229 2.319 -3.039
O -1.378 -1.688 1.555
S 0.033 -1.339 1.605
O 0.593 -1.516 2.937
O 0.202 0.109 1.135
O 0.822 -2.128 0.587
C 2.720 3.393 4.368
C 2.604 2.103 3.555
C 1.179 1.555 3.564
S 0.205 2.333 2.218
O 0.182 3.794 2.623
C -1.459 1.776 2.794
C -2.525 2.625 2.107
C -3.652 3.024 3.057
H 3.731 3.806 4.323
H 2.479 3.208 5.418
H 2.015 4.124 3.976
H 3.293 1.350 3.946
H 2.891 2.300 2.518
H 0.679 1.782 4.508
H 1.143 0.488 3.363
H -1.477 1.928 3.875
H -1.531 0.719 2.555
H -2.932 2.086 1.250
H -2.042 3.538 1.746
H -4.147 2.142 3.466
H -4.399 3.629 2.539
H -3.249 3.615 3.883
F 3.388 -0.704 -1.090
C 2.553 -0.041 -0.161
F 2.972 -0.512 1.058
H 2.817 1.024 -0.193
*
```

Calculated values
F_max ... 2.57 eV/A
E_LUMO (spin up / spin down) ... 4.84 / 4.84 eV
Highest occupied orbital energy (spin up / spin down) ... -1.89 / -2.08 eV
<S²> ... 8.760

Record 2
The following is a DFT calculation (wB97M-V/def2-TZVPD) of a molecular structure, C21H25F3O27PbZn in a non-equilibrium geometry.

ORCA input file:
```
! wB97M-V def2-TZVPD RIJCOSX def2/J DEFGRID3
* xyz 0 1
Pb -1.743 -1.322 3.788
Zn -2.415 2.258 2.901
O 1.185 4.117 3.865
C -0.031 3.870 4.232
O -0.829 3.519 3.405
O -0.313 3.947 5.465
H 0.870 3.976 2.969
O -2.247 -0.498 6.145
C -2.398 0.783 5.787
O -2.514 0.993 4.594

Now imagine that you want to build another grammar by reusing some of the rules and that grammar. You can use an import statement that at least in the abstract includes all the rules from the other grammar that are not overridden:

parser grammar Java;
import JavaDecl;
prog : decl ;
type : 'int' | 'float' ;

ANTLR will aggressively optimize out the rules that are not needed. It must still include rules whose lookahead DFA change as a result of an overridden rule. In this case, the change in rule type alters the lookahead prediction for rule decl. Consequently, decl must be included in the generated code for grammar Java. Here is the output ANTLR would generate for Java:

class JavaParser extends Parser {
  JavaDecl delegate = new JavaDecl(...); // probably set in ctor actually
  public void type() { ... }
  public void prog() { decl(); } // uses overridden version.
  public void decl() {
    int alt = predict-alt-of-decl; // DFA changed; must copy whole rule here
    switch (alt) {
    case 1 :
      type(); match(ID); match(';');
    case 2 :
      type(); match(ID); init(); match(';');
  void init() { delegate.init(); }

The code generation would look the same and delegation would be handled by having a rule with the proper name that delegated to the other grammar; e.g., init(). This is nice because it shows you the list of all rules delegated to other grammars.

Notice that you cannot use combined grammars for this; lexers have to be handled with a separate delegation.


Lexer composition works exactly the same way. The import in the abstract copies all of the rules into the new lexer:

lexer grammar L;
import S,T;

Calculated molecules, kept here for reference
<<<
No. 1
This record from the Open Molecules 2025 dataset describes a single C7H12 molecule in a non-equilibrium geometry. The level of theory is wB97M-V/def2-TZVPD.

XYZ file:
```
19
Properties=species:S:1:pos:R:3:nbo_charge:R:1
C 0.6023 -1.6566 -1.0985 -0.3715
C 0.5374 -0.3371 -0.9268 -0.0207
C 1.5876 0.5631 -1.6808 -0.6482
C 0.0945 0.4070 0.2940 -0.0132
C 0.7446 1.4577 0.8711 -0.3906
C -0.8618 -0.3762 1.2054 -0.4290
C -2.3018 0.0207 1.0255 -0.5931
H 1.2715 -2.1010 -1.8464 0.2037
H 0.0392 -2.3838 -0.4768 0.1988
H 1.7385 0.1035 -2.6575 0.2125
H 2.5844 0.6178 -1.2273 0.2178
H 1.1511 1.5715 -1.8124 0.2168
H 0.6818 1.8959 1.8554 0.2112
H 1.6208 1.7832 0.3230 0.1907
H -0.8897 -1.4710 0.9991 0.1994
H -0.6171 -0.3732 2.2637 0.2060
H -2.8895 -0.5778 1.7080 0.2046
H -2.4271 1.1033 1.1543 0.2031
H -2.6666 -0.2470 0.0270 0.2016
```

Values from the calculation:
highest occupied orbital energy	-8.789	eV
F_max	4.029	eV/A
SMILES	C=C(C)C(=C)CC
gap between HOMO and LUMO	9.5	eV

No. 2
This record from the Open Molecules 2025 dataset describes 4 unconnected molecules or ions with the total composition C2H12O3S2. The level of theory is wB97M-V/def2-TZVPD.

XYZ file:
```
19
Properties=species:S:1:pos:R:3:nbo_charge:R:1
C 1.1440 0.3849 1.4556 -0.6246
C 1.2942 -1.0707 1.9049 -0.5409
S 1.7343 -2.2317 0.5896 0.0994
S 0.1275 -2.1400 -0.6768 -0.1441
H 0.3543 0.9186 1.9937 0.2123
H 0.9980 0.4479 0.3790 0.2236
H 2.0823 0.9240 1.6364 0.2087
H 0.4197 -1.4361 2.4236 0.2131
H 2.1143 -1.1657 2.6193 0.2228
H 0.5547 -1.1383 -1.4635 0.1288
O -1.7201 1.6380 -0.7952 -0.9785
H -2.5422 1.1589 -0.9428 0.4732
H -1.8614 2.2591 -0.0621 0.5047
O -1.1214 2.5351 -3.4875 -0.9639
H -1.1836 2.2065 -2.5664 0.4934
H -1.6394 1.8874 -3.9806 0.4560
O -1.9553 3.2430 1.5340 -0.9516
H -2.1890 3.0504 2.4478 0.4856
H -2.4522 4.0404 1.3175 0.4819
```

Values from the calculation:
highest occupied orbital energy	-8.975	eV
F_max	0.713	eV/A
SMILES	CCSS.O.O.O
gap between HOMO and LUMO	9.2	eV

No. 3
This record from the Open Molecules 2025 dataset describes a molecular structure, C47H53I2N4OPS2Y in a non-equilibrium geometry. The level of theory is wB97M-V/def2-TZVPD.

XYZ file:
```
111
Properties=species:S:1:pos:R:3:mulliken_charge:R:1
Y 0.0546 0.0158 0.5518 -0.2122
C -1.6033 -2.9369 -0.5330 -1.3147
N -1.8617 -1.5037 -0.7703 1.9496
C -1.8888 -1.2059 -2.2107 -0.1695
C -0.6976 -1.7428 -2.9930 -2.3875
N 0.5819 -1.5432 -2.3576 2.0848
C 1.2598 -0.3186 -2.7151 -1.0336
C 1.4566 -2.6642 -2.4180 -1.4534
C 1.6631 -3.3567 -3.6059 -0.2870
C 2.5247 -4.4401 -3.6545 -0.9206
C 3.1921 -4.8203 -2.4964 -0.6033
C 2.9948 -4.1228 -1.3188 -0.8767
C 2.1248 -3.0281 -1.2522 0.3416
S 1.8954 -2.1742 0.2614 0.2196
C -3.1450 -1.2226 -0.1192 0.1436
C -4.3558 -1.2349 -0.8093 -0.6917
C -5.5698 -1.2309 -0.1364 -0.7921
C -5.5864 -1.2107 1.2461 -0.7601
C -4.3927 -1.1196 1.9358 -0.9046
C -3.1606 -1.0966 1.2791 0.8904
S -1.7075 -0.9661 2.2632 -0.3350
H -2.3274 -3.5453 -1.0890 0.3646
H -1.6999 -3.1332 0.5358 0.3338
H -0.5883 -3.1876 -0.8327 0.0369
>>>

Precedence of rules for the same name is given to the grammar listed first in the import statement; e.g., ID, INT, WS, etc... All rules would be copied in because there's no way to optimize out which ones you want.

We will add the ability to specify the implicitly-defined Tokens rule so that you can specify only the set of tokens you want from the merged lexers.

Propogating grammar changes

Basically, we will need tree-based grammar versions of diff and diff3: gpatch, gdiff, gdiff3. Also, we will need a tool called gderive that effectively does a copy of an original grammar into a special location, ~/.grammar-prototypes, so that later gsync calls will know what the original looked like.

When propagating the change, there is a possibility of collision. The user might have altered an action, or inserted an action into a location that the original grammar changes. Collisions in actions or any change within an alt that has actions
in proto or derived causes a marker in the merged file. ANTLR could even look for that cookie and warn that the grammar may not work.

Branching off a new version of an existing grammar

Let's say you want to do a project using the existing Java.g grammar. First, make sure that you make a copy of the original grammar with:

gderive Java.g MyJava.g

Then make whatever changes you want to the grammar or actions. When you want to get fixes from the original Java.g, all you need to do is the following:

gsync Java.g MyJava.g

N-phase translators with a single prototypical tree grammar

Imagine a collocated translator that has multiple passes over the tree to collect information and build ancillary data structures. Changes to the tree construction in the parser grammar, affect the underlying grammar of all phases. This is a change to manually propagate the changes to each of the tree grammars and can introduce lots of errors. Instead, we should build a single prototypical tree grammar and keep it around (not up in the gderive directory though). Later, all of the phases can be changed simply by altering the proto.g tree grammar and invoking:

gsync proto.g p1.g ... p2.g

That effectively pushes all of the changes to the different phases. Collisions result in a marker in a grammar file.